**Job:**
Your job: set down only the last part of the lines further down, starting with the line that has "-3.171187 0.039".

**Data:**
-- begin --
Density functional theory data (ωB97M-V with the def2-TZVPD basis set) for 27 unconnected molecules or ions with the total composition C3H59BrNO26 at a distorted geometry.

```
90
Properties=species:S:1:pos:R:3:forces:R:3
C 2.500467 -2.149286 3.345520 -0.740 -0.545 -0.020
C 1.120799 -2.836028 3.168185 0.685 1.142 -0.076
Br 0.977745 -4.358698 4.467204 -0.053 -0.132 -0.245
C -0.083602 -1.894794 3.332511 -0.899 -0.739 0.488
N -1.379999 -2.542786 3.305395 0.265 0.441 -0.832
H 2.332832 -1.206484 3.861702 0.196 0.067 -0.022
H 3.193986 -2.767523 3.909764 0.083 0.037 -0.028
H 2.909083 -1.991154 2.351892 0.164 0.249 0.077
H 1.056941 -3.255142 2.164624 -0.120 -0.625 0.257
H 0.058211 -1.282607 4.234823 0.382 0.004 0.003
H 0.004251 -1.218883 2.479599 0.199 0.037 0.005
H -1.512554 -2.929890 4.235768 -0.300 0.015 -0.045
O 1.682250 0.061809 1.518968 0.101 0.240 -0.087
H 1.514297 1.003770 1.419072 -0.003 -0.002 -0.006
H 1.433190 -0.296941 0.661601 -0.017 0.026 -0.008
O 1.959423 0.996490 -1.336826 0.157 -0.101 0.015
H 2.261610 1.636372 -1.991498 -0.141 -0.125 -0.166
H 1.889225 0.172856 -1.830917 0.019 -0.008 0.008
O -0.829606 -6.024242 1.557001 0.032 -0.444 -0.118
H -1.109648 -6.816846 2.031512 0.046 -0.012 0.028
H -0.178284 -5.620403 2.147310 -0.260 0.397 0.040
O -2.014937 -0.873813 0.990377 -0.065 -0.034 -0.484
H -2.189358 -1.593261 0.373067 -0.093 -0.119 -0.028
H -1.930549 -1.378276 1.839866 0.032 -0.164 0.684
O 3.712913 -3.461429 6.466964 -0.019 -0.012 0.083
H 4.359891 -4.141637 6.259205 0.019 0.029 -0.037
H 2.895995 -3.767763 6.043641 -0.095 0.098 -0.109
O -3.359684 -7.544366 1.741555 0.062 0.027 -0.169
H -3.085448 -6.689392 1.387525 -0.017 0.045 0.134
H -4.199152 -7.731613 1.312267 -0.026 0.001 0.055
O -1.501325 1.312162 -0.733184 -0.032 0.198 0.122
H -1.643516 0.522407 -0.167227 -0.059 -0.042 0.250
H -0.855065 1.830434 -0.235884 0.189 -0.187 -0.064
O 1.217017 2.349938 -3.863958 -0.128 0.013 0.060
H 0.558304 2.192015 -3.171187 0.039 0.012 0.038
H 1.009668 1.700683 -4.551295 0.022 0.098 -0.104
O 0.983107 2.181413 -7.054768 0.473 -0.116 0.186
H 1.942779 2.176200 -7.133884 -0.006 0.061 -0.019
H 0.733320 3.122695 -7.110483 -0.350 -0.258 -0.258
O -0.190052 -7.183399 -1.134158 -0.077 0.006 -0.019
H -1.030670 -7.436160 -1.524509 0.013 -0.019 -0.013
H -0.430636 -6.726675 -0.312988 0.105 0.062 0.151
O -1.135696 3.741396 1.168533 -0.202 0.009 -0.072
H -1.975248 3.354663 0.889023 -0.008 -0.079 0.113
H -1.367201 4.234095 1.961939 0.114 -0.013 0.043
O -0.431238 4.447423 -7.715633 0.179 0.273 0.094
H -1.294950 4.115020 -7.979602 0.011 -0.099 0.068
H -0.624880 4.956777 -6.918257 -0.206 0.035 -0.067
O -1.652039 4.164268 -1.826161 0.146 0.309 -0.235
H -1.780604 3.381245 -1.273765 0.007 -0.136 -0.324
H -1.027498 4.690696 -1.309984 -0.095 -0.082 0.218
O 1.071748 -0.604628 -5.772951 0.147 0.058 -0.041
H 1.176684 -0.014791 -6.529087 -0.222 0.099 0.043
H 0.728492 -1.423833 -6.140672 -0.025 -0.004 0.061
O 3.307097 -5.093846 1.943275 -0.064 -0.145 -0.037
H 2.554403 -5.093866 2.552779 0.123 0.081 0.084
H 3.078291 -5.752107 1.279614 -0.001 0.024 -0.023
O 0.581938 5.255224 -3.758341 -0.185 -0.140 0.040
H 1.120462 4.549797 -4.148448 -0.185 -0.085 -0.034
H -0.025961 4.770420 -3.176554 0.008 -0.161 0.069
O -3.218362 -3.675981 0.189506 -0.054 -0.038 -0.206
H -3.396569 -4.403776 -0.412580 0.075 -0.004 -0.007
H -3.075321 -4.081938 1.056508 0.256 0.315 0.144
O -4.201283 2.056267 -1.814088 -0.032 0.010 0.011
H -3.755220 2.454064 -2.567579 0.009 0.014 0.011
H -3.481481 1.643663 -1.316383 0.081 -0.014 -0.011
O -1.561910 7.410400 -3.448208 -0.014 -0.064 0.078
H -0.879052 6.748345 -3.611694 0.167 0.197 -0.030
H -2.375531 6.988797 -3.745017 -0.035 0.132 -0.107
O -4.059923 7.831684 -5.321503 -0.090 0.020 0.062
H -4.100155 8.555068 -4.687389 0.010 -0.009 0.011
H -3.438136 8.135820 -5.990100 0.087 -0.097 0.035
O -5.773979 -3.309079 1.379961 -0.383 0.059 -0.020
H -5.820299 -2.619841 2.048919 0.096 -0.016 0.017
H -5.185358 -2.954532 0.702569 0.260 -0.116 0.137
-- stop --

**Solution:**
H 0.558304 2.192015 -3.171187 0.039 0.012 0.038
H 1.009668 1.700683 -4.551295 0.022 0.098 -0.104
O 0.983107 2.181413 -7.054768 0.473 -0.116 0.186
H 1.942779 2.176200 -7.133884 -0.006 0.061 -0.019
H 0.733320 3.122695 -7.110483 -0.350 -0.258 -0.258
O -0.190052 -7.183399 -1.134158 -0.077 0.006 -0.019
H -1.030670 -7.436160 -1.524509 0.013 -0.019 -0.013
H -0.430636 -6.726675 -0.312988 0.105 0.062 0.151
O -1.135696 3.741396 1.168533 -0.202 0.009 -0.072
H -1.975248 3.354663 0.889023 -0.008 -0.079 0.113
H -1.367201 4.234095 1.961939 0.114 -0.013 0.043
O -0.431238 4.447423 -7.715633 0.179 0.273 0.094
H -1.294950 4.115020 -7.979602 0.011 -0.099 0.068
H -0.624880 4.956777 -6.918257 -0.206 0.035 -0.067
O -1.652039 4.164268 -1.826161 0.146 0.309 -0.235
H -1.780604 3.381245 -1.273765 0.007 -0.136 -0.324
H -1.027498 4.690696 -1.309984 -0.095 -0.082 0.218
O 1.071748 -0.604628 -5.772951 0.147 0.058 -0.041
H 1.176684 -0.014791 -6.529087 -0.222 0.099 0.043
H 0.728492 -1.423833 -6.140672 -0.025 -0.004 0.061
O 3.307097 -5.093846 1.943275 -0.064 -0.145 -0.037
H 2.554403 -5.093866 2.552779 0.123 0.081 0.084
H 3.078291 -5.752107 1.279614 -0.001 0.024 -0.023
O 0.581938 5.255224 -3.758341 -0.185 -0.140 0.040
H 1.120462 4.549797 -4.148448 -0.185 -0.085 -0.034
H -0.025961 4.770420 -3.176554 0.008 -0.161 0.069
O -3.218362 -3.675981 0.189506 -0.054 -0.038 -0.206
H -3.396569 -4.403776 -0.412580 0.075 -0.004 -0.007
H -3.075321 -4.081938 1.056508 0.256 0.315 0.144
O -4.201283 2.056267 -1.814088 -0.032 0.010 0.011
H -3.755220 2.454064 -2.567579 0.009 0.014 0.011
H -3.481481 1.643663 -1.316383 0.081 -0.014 -0.011
O -1.561910 7.410400 -3.448208 -0.014 -0.064 0.078
H -0.879052 6.748345 -3.611694 0.167 0.197 -0.030
H -2.375531 6.988797 -3.745017 -0.035 0.132 -0.107
O -4.059923 7.831684 -5.321503 -0.090 0.020 0.062
H -4.100155 8.555068 -4.687389 0.010 -0.009 0.011
H -3.438136 8.135820 -5.990100 0.087 -0.097 0.035
O -5.773979 -3.309079 1.379961 -0.383 0.059 -0.020
H -5.820299 -2.619841 2.048919 0.096 -0.016 0.017
H -5.185358 -2.954532 0.702569 0.260 -0.116 0.137